Impact Metrics for Retro Funding 5

Open Source Observer is happy to support the latest retro round with another suite of impact metrics.

As RF5 features OP Stack contributions, the metrics we’ve developed for the round are focused on GitHub repo-level contributions. They are intended to give human voters some helpful “data in the loop” as a complement to projects’ self-reported impact statements.

Metrics comes in three flavors:

  • Basic vanilla GitHub stats. We took a snapshot of projects’ GitHub repo stats (stars, forks, etc) at the end of the review process (2024-09-23). Nothing fancy here. You can double-check any of these by clicking on the project’s repo link.
  • Contributor counts. We indexed the event history for each repo to identify unique, non-bot contributors over the lifetime and the past 6 months of the project. We also present a count of “trusted” contributors.
  • Trust weighted metrics. With our friends at OpenRank, we re-ran the “developer rank” and “repo rank” algorithms used to identify guest voters over a new time interval. The algorithm considers contributions to over 40K repos, seeded by a set of “high impact” repos identified by core devs. These trust-weighted metrics offer a better approximation of the impact a project has had specifically on the Optimism ecosystem versus the broader Ethereum / open source universe.

As always, you can see the source code and underlying data behind metrics here, and a copy of the results as a CSV file here.

The Metrics

The following fields are included in the GitHub-based metrics analysis for Retro Funding 5:

  1. artifact_url: Repository URL associated with the project based on the application. A project may have multiple repos in its application.

  2. project_name: Name of the project.

  3. project_category_id: Category ID of the project (1, 2, 3).

  4. num_contributors: Total number of contributors before August 1, 2024. A contributor is defined as any non-bot user that has contributed to the repository (since 2015) by committing code directly to a repository, opening an issue, or opening/reviewing a pull request.

  5. num_trusted_contributors: Number of trusted contributors before August 1, 2024. A subset of the contributors defined above, this is the number of contributors that are also in the top 420 of the OpenRank developer trust score.

  6. num_contributors_last_6_months: Number of contributors over the period February 1, 2024 - August 1, 2024.

  7. num_stars: Total number of stars as of September 23, 2024.

  8. num_trusted_stars: Number of stars from trusted users before August 1, 2024. A subset of the stars defined above, this is the number of stars from users that are also in the top 420 of the OpenRank developer trust score.

  9. trust_weighted_stars: This metric is a percentage score between 0% and 100%, representing the sum of the reputation share of the developers who starred the repo. If all developers in OpenRank developer ranking have starred a particular repo, the metric’s value is going to be 100% for this particular repo. The more and the higher ranked developer who starred the repo, the higher the percentage value, the higher impact and quality of this repo. We calculate this metric by first calculating every developer’s reputation share (%) based on their OpenRank score, then sum them up if they starred the target repo.

  10. num_forks: Total number of forks as of September 23, 2024.

  11. num_trusted_forks: Number of forks from trusted users before August 1, 2024. A subset of the forks defined above, this is the number of forks from users that are also in the top 420 of the OpenRank developer trust score.

  12. trust_weighted_forks: This metric is a percentage score between 0% and 100%, representing the sum of the reputation share of the developers who forked the repo. If all developers in OpenRank developer ranking have forked a particular repo, the metric’s value is going to be 100% for this particular repo. The more and the higher ranked developer who forked the target repo, the higher the percentage value, the higher impact and quality of this repo. We calculate this metric by first calculating every developer’s reputation share (%) based on their OpenRank score, then sum them up if they forked the target repo.

  13. trust_rank_for_repo_in_category: Ranking of the repository’s OpenRank trust score within its category. A score of 1 indicates the highest ranking repo in its category.

  14. age_of_project_years: Age of the project in years, measured from the project’s first public commit to August 1, 2024.

  15. application_id: Application ID in the sign-up and voting UIs.

Next to the article, the page also holds molecular data:
+++
(1)
{
  "formula": "FH3P2S2",
  "method": "ωB97M-V/def2-TZVPD",
  "symbols": ["S", "S", "P", "P", "F", "H", "H", "H"],
  "coordinates": [[-2.14, 0.00, 1.22], [0.31, -1.97, -0.29], [-0.66, -0.03, -0.05], [0.82, 1.59, 0.22], [-1.06, 0.39, -1.80], [1.26, 1.47, -1.16], [1.43, 0.52, 0.85], [0.05, -1.97, 1.00]],
  "e_tot_ev": -43014.5353,
  "mol_weight_g_mol": 148.1,
  "charge": 0,
  "lumo_energy_ev": -0.50,
  "de_lowest_ev": 0.830,
  "homo_lumo_gap_ev": 9.0
}

---

(2)
{
  "formula": "FH48O24",
  "method": "ωB97M-V/def2-TZVPD",
  "symbols": ["F", "O", "O", "O", "O", "O", "O", "O", "O", "O", "O", "O", "O", "O", "O", "O", "O", "O", "O", "O", "O", "O", "O", "O", "O", "H", "H", "H", "H", "H", "H", "H", "H", "H", "H", "H", "H", "H", "H", "H", "H", "H", "H", "H", "H", "H", "H", "H", "H", "H", "H", "H", "H", "H", "H", "H", "H", "H", "H", "H", "H", "H", "H", "H", "H", "H", "H", "H", "H", "H", "H", "H", "H"],
  "coordinates": [[-0.39, -0.13, 0.05], [-4.15, 0.01, -0.61], [1.09, -0.30, 2.41], [-2.36, -1.31, 1.25], [-1.84, 2.08, 4.14], [1.49, 4.11, 0.12], [-2.26, -3.90, 0.99], [-1.09, -3.45, -3.67], [-1.82, 1.81, -1.15], [0.71, -2.82, 0.44], [0.06, -5.01, -1.78], [-1.56, -0.90, 3.73], [-1.29, 1.21, -3.60], [-0.41, -1.15, -2.53], [-0.69, 2.30, 1.65], [-0.64, 4.34, -1.44], [-3.32, 3.66, 1.83], [4.73, 1.01, -2.24], [2.83, -3.38, 2.39], [3.56, 0.59, 3.32], [2.26, -0.01, -0.93], [4.01, 3.13, 0.75], [-4.77, -1.91, -2.67], [2.35, -2.49, -2.42], [4.26, 0.47, 0.80], [1.18, -2.87, 1.28], [-1.18, 1.20, -0.76], [-1.82, 0.00, 3.93], [0.24, -4.98, -0.84], [-2.30, -2.98, 1.26], [-5.31, -1.16, -2.91], [-1.36, -4.19, -3.13], [3.65, 0.08, 0.17], [1.78, -3.02, -1.86], [-3.17, -1.07, 0.80], [-0.57, -0.79, -1.66], [-0.49, 1.72, -3.73], [-0.81, 3.40, -1.32], [3.96, 1.37, 0.89], [-4.23, -1.59, -1.95], [-0.80, -0.51, -3.13], [0.21, 2.57, 1.46], [-1.62, 2.95, 4.49], [2.76, 0.16, 3.02], [0.37, -0.37, 3.04], [-1.24, 4.77, -0.83], [-1.67, -0.89, 0.73], [5.34, 1.16, -1.52], [-2.02, -1.11, 2.92], [-1.77, 1.32, -4.42], [-4.72, 0.45, 0.01], [-1.41, 2.06, 3.28], [-3.58, 0.71, -0.94], [4.48, 3.93, 0.51], [-2.40, 3.44, 1.76], [4.15, 0.55, 2.56], [-1.76, 1.65, -2.09], [2.17, -0.64, -1.65], [-3.75, 2.84, 2.07], [3.11, 3.29, 0.49], [1.62, 4.98, 0.50], [0.89, 4.26, -0.62], [0.76, -5.56, -2.14], [3.24, -2.76, 1.79], [4.02, 0.49, -1.85], [1.88, -2.43, -3.25], [-0.93, -2.74, -3.05], [1.40, -0.01, -0.50], [0.43, -1.91, 0.38], [0.66, -0.14, 1.57], [3.26, -3.24, 3.23], [-2.59, -3.90, 0.09], [-0.83, 1.53, 1.10]],
  "e_tot_ev": -52643.5948,
  "mol_weight_g_mol": 451.4,
  "charge": -1,
  "lumo_energy_ev": 1.58,
  "homo_lumo_gap_ev": 8.8
}

---

(3)
{
  "formula": "FH4NSi",
  "method": "ωB97M-V/def2-TZVPD",
  "symbols": ["Si", "F", "N", "H", "H", "H", "H"],
  "coordinates": [[0.71, -0.57, -0.22], [2.03, 0.19, 0.29], [-1.07, 0.81, 0.00], [-2.06, 0.39, 0.17], [-1.15, 1.38, 0.83], [0.80, -0.32, -1.63], [0.73, -1.88, 0.57]],
  "e_tot_ev": -12149.9319,
  "mol_weight_g_mol": 65.1,
  "charge": 0,
+++


Metrics are continuously evolving and never a substitute for DYOR as a voter. A few caveats:

  • The metrics come exclusively from public GitHub activity.
  • The majority - but not all - projects in the round submitted GitHub repos as part of their impact statements.
  • Metrics are presented only at the repo level (we don’t roll them up to the project level). Some projects submitted more than one repo and therefore have multiple sets of metrics.
  • The underlying data behind the metrics comes from gharchive. We only capture contributions to public repos; we don’t capture any private contributions that happened before the repo turned public. This may cause minor differences between the metrics on the project’s voting page and the ones you see on the project’s actual GitHub.

Feedback or questions on our GitHub forum are always welcome!